Listing:
# CaFeF6

A relaxed CaFeF6 crystal (GGA+U, Alexandria via LeMat-Bulk).

Results
VASP energy: -4.95 eV per atom

abc: 5.193 5.280 5.620
angles: 62.91 62.92 60.64
Sites, in units of the cell vectors:
Ca 0.000 0.000 0.000
Fe 0.500 0.500 0.500
F 0.150 0.711 0.722
F 0.285 0.579 0.278
F 0.415 0.149 0.725
F 0.585 0.851 0.275
F 0.715 0.421 0.722
F 0.850 0.289 0.278

=====

(1)
Here is crystalline FeBiO3 at its relaxed geometry from Alexandria. Energies are from PBE+U.

Values from the calculation:
raw total energy	-6.1985	eV/atom
DOS(E_F)	0.000	states/eV/cell

```
FeBiO3
1.0
-1.971 -2.732 -1.676
-1.120 -1.256 3.366
-3.898 2.936 -0.202
Bi Fe O
1 1 3
direct
0.000 0.000 0.004 Bi
0.500 0.500 0.576 Fe
0.500 0.000 0.726 O
0.500 0.500 0.198 O
0.000 0.500 0.726 O
```

(2)
Here is crystalline Fe2BiO4 at its relaxed geometry from Alexandria. Energies are from PBE+U.

Values from the calculation:
raw total energy	-6.3263	eV/atom

```
Fe2BiO4
1.0
-6.214 4.066 5.160
-2.260 -1.426 5.592
0.090 4.487 4.498
O Fe Bi
8 4 2
direct
0.601 0.234 0.784 O
0.183 0.192 0.237 O
0.615 0.766 0.784 O
0.135 0.734 0.716 O
0.149 0.266 0.716 O
0.170 0.692 0.264 O
0.567 0.308 0.263 O
0.580 0.808 0.236 O
0.375 0.750 0.250 Fe
0.375 0.250 0.250 Fe
0.875 0.750 0.750 Fe
0.375 0.250 0.750 Fe
0.761 0.500 0.478 Bi
0.989 0.000 0.022 Bi
```

(3)
Here is crystalline FeBiO3 at its relaxed geometry from Alexandria. Energies are from PBE+U.

Values from the calculation:
raw total energy	-5.5568	eV/atom
DOS(E_F)	1.257	states/eV/cell

```
FeBiO3
1.0
3.832 3.585 1.055
-3.832 3.585 1.055
0.000 1.866 6.104
Fe O Bi
2 6 2
direct
0.381 0.552 0.119 Fe
0.552 0.381 0.619 Fe
0.494 0.808 0.582 O
0.553 0.902 0.756 O
0.902 0.553 0.256 O
0.808 0.494 0.082 O
0.372 0.261 0.985 O
0.261 0.372 0.485 O
0.062 0.937 0.639 Bi
0.937 0.062 0.139 Bi
```

(4)
Here is crystalline FeBiO3 at its relaxed geometry from Alexandria. Energies are from PBE+U.

Values from the calculation:
raw total energy	-6.2140	eV/atom
DOS(E_F)	0.000	states/eV/cell

```
FeBiO3
1.0
-2.205 4.754 -2.067
1.805 -4.024 -3.505
-2.936 -4.887 -0.430
O Bi Fe
6 2 2
direct
0.435 0.114 0.358 O
0.037 0.565 0.358 O
0.537 0.614 0.858 O
0.935 0.463 0.858 O
0.386 0.065 0.858 O
0.886 0.963 0.358 O
0.499 0.501 0.497 Bi
0.999 0.001 0.997 Bi
0.220 0.780 0.661 Fe
0.720 0.280 0.161 Fe
```

(5)
Here is crystalline FeBiO2 at its relaxed geometry from Alexandria. Energies are from PBE+U.

Values from the calculation:
raw total energy	-5.9048	eV/atom
DOS(E_F)	1.717	states/eV/cell

```
FeBiO2
1.0
3.731 -1.540 5.697
5.506 0.673 4.240
3.056 1.553 6.082
O Fe Bi
2 1 1
direct
0.883 0.883 0.883 O
0.117 0.117 0.117 O
0.500 0.500 0.500 Fe
0.000 0.000 0.000 Bi
```

(6)
Here is crystalline FeBiO2 at its relaxed geometry from Alexandria. Energies are from PBE+U.

Values from the calculation:
raw total energy	-5.4985	eV/atom
DOS(E_F)	2.110	states/eV/cell

```
FeBiO2
1.0
2.108 0.000 6.006
-1.054 1.825 6.006
-1.054 -1.825 6.006
Bi O Fe
1 2 1
direct
0.500 0.500 0.500 Bi
0.104 0.104 0.104 O
0.896 0.896 0.896 O
0.000 0.000 0.000 Fe
```

(7)
Here is crystalline Fe2BiO at its relaxed geometry from Alexandria. Energies are from PBE+U.

Values from the calculation:
raw total energy	-5.3141	eV/atom
DOS(E_F)	1.360	states/eV/cell
ΔE to the lowest computed polymorph	0.0	meV per atom

```
Fe2BiO
1.0
-2.710 -4.323 1.524
4.583 -2.556 0.902
0.936 -1.521 6.652
Fe O Bi
4 2 2
direct
0.875 0.625 0.750 Fe
0.375 0.625 0.750 Fe
0.375 0.125 0.250 Fe
0.375 0.625 0.250 Fe
0.500 0.500 0.000 O
0.250 0.750 0.500 O
0.000 0.000 0.000 Bi
0.750 0.250 0.500 Bi
```

(8)
Here is crystalline FeBiO3 at its relaxed geometry from Alexandria. Energies are from PBE+U.

Values from the calculation:
raw total energy	-6.1951	eV/atom
DOS(E_F)	0.000	states/eV/cell

```
FeBiO3
1.0
3.981 8.975 0.032
-3.981 8.975 0.032
0.000 1.754 5.352
O Bi Fe
18 6 6
direct
0.682 0.318 0.500 O
0.401 0.959 0.868 O
0.616 0.616 0.184 O
0.272 0.272 0.536 O
0.057 0.057 0.255 O
0.318 0.682 0.500 O
0.384 0.384 0.816 O
0.959 0.401 0.868 O
Assignment:
Type out all of the block above exactly.
Reply:
# CaFeF6

A relaxed CaFeF6 crystal (GGA+U, Alexandria via LeMat-Bulk).

Results
VASP energy: -4.95 eV per atom

abc: 5.193 5.280 5.620
angles: 62.91 62.92 60.64
Sites, in units of the cell vectors:
Ca 0.000 0.000 0.000
Fe 0.500 0.500 0.500
F 0.150 0.711 0.722
F 0.285 0.579 0.278
F 0.415 0.149 0.725
F 0.585 0.851 0.275
F 0.715 0.421 0.722
F 0.850 0.289 0.278

=====

(1)
Here is crystalline FeBiO3 at its relaxed geometry from Alexandria. Energies are from PBE+U.

Values from the calculation:
raw total energy	-6.1985	eV/atom
DOS(E_F)	0.000	states/eV/cell

```
FeBiO3
1.0
-1.971 -2.732 -1.676
-1.120 -1.256 3.366
-3.898 2.936 -0.202
Bi Fe O
1 1 3
direct
0.000 0.000 0.004 Bi
0.500 0.500 0.576 Fe
0.500 0.000 0.726 O
0.500 0.500 0.198 O
0.000 0.500 0.726 O
```

(2)
Here is crystalline Fe2BiO4 at its relaxed geometry from Alexandria. Energies are from PBE+U.

Values from the calculation:
raw total energy	-6.3263	eV/atom

```
Fe2BiO4
1.0
-6.214 4.066 5.160
-2.260 -1.426 5.592
0.090 4.487 4.498
O Fe Bi
8 4 2
direct
0.601 0.234 0.784 O
0.183 0.192 0.237 O
0.615 0.766 0.784 O
0.135 0.734 0.716 O
0.149 0.266 0.716 O
0.170 0.692 0.264 O
0.567 0.308 0.263 O
0.580 0.808 0.236 O
0.375 0.750 0.250 Fe
0.375 0.250 0.250 Fe
0.875 0.750 0.750 Fe
0.375 0.250 0.750 Fe
0.761 0.500 0.478 Bi
0.989 0.000 0.022 Bi
```

(3)
Here is crystalline FeBiO3 at its relaxed geometry from Alexandria. Energies are from PBE+U.

Values from the calculation:
raw total energy	-5.5568	eV/atom
DOS(E_F)	1.257	states/eV/cell

```
FeBiO3
1.0
3.832 3.585 1.055
-3.832 3.585 1.055
0.000 1.866 6.104
Fe O Bi
2 6 2
direct
0.381 0.552 0.119 Fe
0.552 0.381 0.619 Fe
0.494 0.808 0.582 O
0.553 0.902 0.756 O
0.902 0.553 0.256 O
0.808 0.494 0.082 O
0.372 0.261 0.985 O
0.261 0.372 0.485 O
0.062 0.937 0.639 Bi
0.937 0.062 0.139 Bi
```

(4)
Here is crystalline FeBiO3 at its relaxed geometry from Alexandria. Energies are from PBE+U.

Values from the calculation:
raw total energy	-6.2140	eV/atom
DOS(E_F)	0.000	states/eV/cell

```
FeBiO3
1.0
-2.205 4.754 -2.067
1.805 -4.024 -3.505
-2.936 -4.887 -0.430
O Bi Fe
6 2 2
direct
0.435 0.114 0.358 O
0.037 0.565 0.358 O
0.537 0.614 0.858 O
0.935 0.463 0.858 O
0.386 0.065 0.858 O
0.886 0.963 0.358 O
0.499 0.501 0.497 Bi
0.999 0.001 0.997 Bi
0.220 0.780 0.661 Fe
0.720 0.280 0.161 Fe
```

(5)
Here is crystalline FeBiO2 at its relaxed geometry from Alexandria. Energies are from PBE+U.

Values from the calculation:
raw total energy	-5.9048	eV/atom
DOS(E_F)	1.717	states/eV/cell

```
FeBiO2
1.0
3.731 -1.540 5.697
5.506 0.673 4.240
3.056 1.553 6.082
O Fe Bi
2 1 1
direct
0.883 0.883 0.883 O
0.117 0.117 0.117 O
0.500 0.500 0.500 Fe
0.000 0.000 0.000 Bi
```

(6)
Here is crystalline FeBiO2 at its relaxed geometry from Alexandria. Energies are from PBE+U.

Values from the calculation:
raw total energy	-5.4985	eV/atom
DOS(E_F)	2.110	states/eV/cell

```
FeBiO2
1.0
2.108 0.000 6.006
-1.054 1.825 6.006
-1.054 -1.825 6.006
Bi O Fe
1 2 1
direct
0.500 0.500 0.500 Bi
0.104 0.104 0.104 O
0.896 0.896 0.896 O
0.000 0.000 0.000 Fe
```

(7)
Here is crystalline Fe2BiO at its relaxed geometry from Alexandria. Energies are from PBE+U.

Values from the calculation:
raw total energy	-5.3141	eV/atom
DOS(E_F)	1.360	states/eV/cell
ΔE to the lowest computed polymorph	0.0	meV per atom

```
Fe2BiO
1.0
-2.710 -4.323 1.524
4.583 -2.556 0.902
0.936 -1.521 6.652
Fe O Bi
4 2 2
direct
0.875 0.625 0.750 Fe
0.375 0.625 0.750 Fe
0.375 0.125 0.250 Fe
0.375 0.625 0.250 Fe
0.500 0.500 0.000 O
0.250 0.750 0.500 O
0.000 0.000 0.000 Bi
0.750 0.250 0.500 Bi
```

(8)
Here is crystalline FeBiO3 at its relaxed geometry from Alexandria. Energies are from PBE+U.

Values from the calculation:
raw total energy	-6.1951	eV/atom
DOS(E_F)	0.000	states/eV/cell

```
FeBiO3
1.0
3.981 8.975 0.032
-3.981 8.975 0.032
0.000 1.754 5.352
O Bi Fe
18 6 6
direct
0.682 0.318 0.500 O
0.401 0.959 0.868 O
0.616 0.616 0.184 O
0.272 0.272 0.536 O
0.057 0.057 0.255 O
0.318 0.682 0.500 O
0.384 0.384 0.816 O
0.959 0.401 0.868 O